## Entries
........
No. 1
{"formula": "CuSiO4F6", "functional": "PBE", "state": "relaxed", "cell": [[5.126, 0.000, 0.000], [0.000, 8.739, 0.000], [-0.828, 0.000, 6.670]], "species": ["Cu", "Cu", "Si", "Si", "O", "O", "O", "O", "O", "O", "O", "O", "F", "F", "F", "F", "F", "F", "F", "F", "F", "F", "F", "F"], "frac_coords": [[0.000, 0.000, 0.000], [0.000, 0.500, 0.500], [0.500, 0.000, 0.500], [0.500, 0.500, 0.000], [0.120, 0.161, 0.874], [0.120, 0.339, 0.374], [0.247, 0.623, 0.416], [0.247, 0.877, 0.916], [0.753, 0.123, 0.084], [0.753, 0.377, 0.584], [0.880, 0.661, 0.626], [0.880, 0.839, 0.126], [0.252, 0.623, 0.057], [0.252, 0.877, 0.557], [0.309, 0.051, 0.286], [0.309, 0.449, 0.786], [0.368, 0.145, 0.627], [0.368, 0.355, 0.127], [0.632, 0.645, 0.873], [0.632, 0.855, 0.373], [0.691, 0.551, 0.214], [0.691, 0.949, 0.714], [0.748, 0.123, 0.443], [0.748, 0.377, 0.943]], "sg": "P2_1/c, No. 14", "ef_ev_per_atom": -1.32, "density_kg_m3": 2997}

=====

No. 2
{"formula": "Sr3Cu2O4F4", "functional": "PBE", "state": "relaxed", "cell": [[-1.905, 1.905, 11.690], [1.905, -1.905, 11.690], [1.905, 1.905, -11.690]], "species": ["Sr", "Sr", "Sr", "Cu", "Cu", "O", "O", "O", "O", "F", "F", "F", "F"], "frac_coords": [[0.000, 0.000, 0.000], [0.172, 0.172, 0.000], [0.828, 0.828, 0.000], [0.410, 0.410, 0.000], [0.590, 0.590, 0.000], [0.092, 0.592, 0.500], [0.408, 0.908, 0.500], [0.586, 0.086, 0.500], [0.914, 0.414, 0.500], [0.321, 0.321, 0.000], [0.500, 0.500, 0.000], [0.679, 0.679, 0.000], [0.750, 0.250, 0.500]], "sg": "I-4m2, No. 119", "ef_ev_per_atom": -2.58, "density_kg_m3": 5185}

=====

No. 3
{"formula": "ZrCuO4F6", "functional": "PBE", "state": "relaxed", "cell": [[5.466, 0.000, 0.000], [0.000, 8.834, 0.000], [-0.739, 0.000, 7.270]], "species": ["Zr", "Zr", "Cu", "Cu", "O", "O", "O", "O", "O", "O", "O", "O", "F", "F", "F", "F", "F", "F", "F", "F", "F", "F", "F", "F"], "frac_coords": [[0.000, 0.000, 0.000], [0.000, 0.500, 0.500], [0.500, 0.000, 0.500], [0.500, 0.500, 0.000], [0.258, 0.113, 0.579], [0.258, 0.387, 0.079], [0.386, 0.666, 0.107], [0.386, 0.834, 0.607], [0.614, 0.166, 0.393], [0.614, 0.334, 0.893], [0.742, 0.613, 0.921], [0.742, 0.887, 0.421], [0.190, 0.648, 0.352], [0.190, 0.852, 0.852], [0.229, 0.536, 0.731], [0.229, 0.964, 0.231], [0.235, 0.170, 0.929], [0.235, 0.330, 0.429], [0.765, 0.670, 0.571], [0.765, 0.830, 0.071], [0.771, 0.036, 0.769], [0.771, 0.464, 0.269], [0.810, 0.148, 0.148], [0.810, 0.352, 0.648]], "sg": "P2_1/c, No. 14", "ef_ev_per_atom": -1.54, "density_kg_m3": 3148}

=====

No. 4
........

## What to do
It remains to type out the material earlier on verbatim.

## Reply
No. 1
{"formula": "CuSiO4F6", "functional": "PBE", "state": "relaxed", "cell": [[5.126, 0.000, 0.000], [0.000, 8.739, 0.000], [-0.828, 0.000, 6.670]], "species": ["Cu", "Cu", "Si", "Si", "O", "O", "O", "O", "O", "O", "O", "O", "F", "F", "F", "F", "F", "F", "F", "F", "F", "F", "F", "F"], "frac_coords": [[0.000, 0.000, 0.000], [0.000, 0.500, 0.500], [0.500, 0.000, 0.500], [0.500, 0.500, 0.000], [0.120, 0.161, 0.874], [0.120, 0.339, 0.374], [0.247, 0.623, 0.416], [0.247, 0.877, 0.916], [0.753, 0.123, 0.084], [0.753, 0.377, 0.584], [0.880, 0.661, 0.626], [0.880, 0.839, 0.126], [0.252, 0.623, 0.057], [0.252, 0.877, 0.557], [0.309, 0.051, 0.286], [0.309, 0.449, 0.786], [0.368, 0.145, 0.627], [0.368, 0.355, 0.127], [0.632, 0.645, 0.873], [0.632, 0.855, 0.373], [0.691, 0.551, 0.214], [0.691, 0.949, 0.714], [0.748, 0.123, 0.443], [0.748, 0.377, 0.943]], "sg": "P2_1/c, No. 14", "ef_ev_per_atom": -1.32, "density_kg_m3": 2997}

=====

No. 2
{"formula": "Sr3Cu2O4F4", "functional": "PBE", "state": "relaxed", "cell": [[-1.905, 1.905, 11.690], [1.905, -1.905, 11.690], [1.905, 1.905, -11.690]], "species": ["Sr", "Sr", "Sr", "Cu", "Cu", "O", "O", "O", "O", "F", "F", "F", "F"], "frac_coords": [[0.000, 0.000, 0.000], [0.172, 0.172, 0.000], [0.828, 0.828, 0.000], [0.410, 0.410, 0.000], [0.590, 0.590, 0.000], [0.092, 0.592, 0.500], [0.408, 0.908, 0.500], [0.586, 0.086, 0.500], [0.914, 0.414, 0.500], [0.321, 0.321, 0.000], [0.500, 0.500, 0.000], [0.679, 0.679, 0.000], [0.750, 0.250, 0.500]], "sg": "I-4m2, No. 119", "ef_ev_per_atom": -2.58, "density_kg_m3": 5185}

=====

No. 3
{"formula": "ZrCuO4F6", "functional": "PBE", "state": "relaxed", "cell": [[5.466, 0.000, 0.000], [0.000, 8.834, 0.000], [-0.739, 0.000, 7.270]], "species": ["Zr", "Zr", "Cu", "Cu", "O", "O", "O", "O", "O", "O", "O", "O", "F", "F", "F", "F", "F", "F", "F", "F", "F", "F", "F", "F"], "frac_coords": [[0.000, 0.000, 0.000], [0.000, 0.500, 0.500], [0.500, 0.000, 0.500], [0.500, 0.500, 0.000], [0.258, 0.113, 0.579], [0.258, 0.387, 0.079], [0.386, 0.666, 0.107], [0.386, 0.834, 0.607], [0.614, 0.166, 0.393], [0.614, 0.334, 0.893], [0.742, 0.613, 0.921], [0.742, 0.887, 0.421], [0.190, 0.648, 0.352], [0.190, 0.852, 0.852], [0.229, 0.536, 0.731], [0.229, 0.964, 0.231], [0.235, 0.170, 0.929], [0.235, 0.330, 0.429], [0.765, 0.670, 0.571], [0.765, 0.830, 0.071], [0.771, 0.036, 0.769], [0.771, 0.464, 0.269], [0.810, 0.148, 0.148], [0.810, 0.352, 0.648]], "sg": "P2_1/c, No. 14", "ef_ev_per_atom": -1.54, "density_kg_m3": 3148}

=====

No. 4